I've updated the code as follows and it all works fine. Interestingly even though I haven't specified to mixWithOthers, it still does.
Please note that for anyone trying to find options to set on the session.activate options parameter, there aren't any! All you can use is []
if #available(watchOS 10.0, *) {
try session.setCategory(AVAudioSession.Category.playback,
mode: .default,
policy: .longFormAudio,
options: [])
session.activate(options:[]){ success, error in
== Here the piece breaks off for records of crystals ==
+++
The following is a GGA-PBE calculation of a relaxed structure of CrTc2As8, from the Alexandria database.

Summary:
The value obtained for the density of states at the Fermi level is 5.4 states/eV per cell. As for the energy relative to the elements: 0.03 eV per atom. The total moment is 2.1 μB per cell.

```
CrTc2As8
1.0
7.8269 -2.1286 0.0000
7.8269 2.1286 0.0000
-2.5495 0.0000 5.8030
Cr Tc As
1 2 8
Direct
0.0000 0.0000 0.0000
0.3250 0.3250 0.3194
0.6750 0.6750 0.6806
0.0722 0.0722 0.4481
0.1784 0.1784 0.9512
0.2821 0.2821 0.6715
0.4324 0.4324 0.0932
0.5676 0.5676 0.9068
0.7179 0.7179 0.3285
0.8216 0.8216 0.0488
0.9278 0.9278 0.5519
```

=====

The following is a DFT calculation (PBE) of AcLaTm2Bi4 after structural relaxation.

Lattice parameters (Å, degrees): 4.6283 7.9695 8.0110 70.43 90.00 90.00
Fractional positions:
Ac1 0.5000 0.5000 0.0000
La1 0.0000 0.5000 0.5000
Tm1 0.0000 0.0000 0.0000
Tm2 0.5000 0.0000 0.5000
Bi1 0.0000 0.7731 0.7378
Bi2 0.0000 0.2269 0.2622
Bi3 0.5000 0.7695 0.2480
Bi4 0.5000 0.2305 0.7520

Output
- space group = No. 10
- crystal system = monoclinic
- total DFT energy (no corrections) (eV/atom) = -5.079
- mass density (g cm⁻³) = 9.18

=====

(1)
DFT (PBE) results for a relaxed structure of Sr5Ca2Zn.

Values from the calculation:
calculated density	2.7	g/cm³
space-group type	Pbam
density of states at the Fermi level	1.2090	states/eV per atom
magnetization	0.00	μB per atom
E_form	-0.14	eV/f.u.

abc: 4.080 9.733 18.301
angles: 90.00 90.00 90.00
Fractional positions:
Sr 0.500 0.693 0.106
Sr 0.500 0.193 0.394
Sr 0.000 0.496 0.725
Sr 0.000 0.500 0.500
Sr 0.000 0.996 0.775
Sr 0.500 0.307 0.894
Ca 0.500 0.311 0.104
Ca 0.500 0.189 0.604
Sr 0.000 0.504 0.275
Sr 0.000 0.004 0.225
Zn 0.000 0.500 0.000
Sr 0.000 0.000 0.000
Zn 0.000 0.000 0.500
Ca 0.500 0.811 0.396
Ca 0.500 0.689 0.896
Sr 0.500 0.807 0.606

---

(2)
DFT (PBE) results for a relaxed structure of Sr2CaZn2.

Values from the calculation:
calculated density	3.4	g/cm³
polymorph energy (0 for the lowest one)	0	meV per atom
space-group type	P4/mbm
density of states at the Fermi level	1.1797	states/eV per atom
magnetization	0.00	μB per atom
E_form	-0.80	eV/f.u.

abc: 8.339 8.339 4.811
angles: 90.00 90.00 90.00
Fractional positions:
Zn 0.384 0.884 0.000
Ca 0.500 0.500 0.000
Zn 0.616 0.116 0.000
Sr 0.827 0.327 0.500
Zn 0.884 0.616 0.000
Ca 0.000 0.000 0.000
Sr 0.673 0.827 0.500
Sr 0.173 0.673 0.500
Zn 0.116 0.384 0.000
Sr 0.327 0.173 0.500

---

(3)
DFT (PBE) results for a relaxed structure of Sr4Ca3Zn2.

Values from the calculation:
calculated density	2.7	g/cm³
space-group type	C2/m
density of states at the Fermi level	1.1804	states/eV per atom
magnetization	0.00	μB per atom
E_form	-0.61	eV/f.u.

abc: 4.291 10.140 9.803
angles: 115.68 102.64 90.00
Fractional positions:
Sr 0.770 0.349 0.540
Ca 0.000 0.500 0.000
Ca 0.926 0.804 0.851
Zn 0.400 0.569 0.801
Sr 0.377 0.120 0.755
Zn 0.600 0.431 0.199
Sr 0.230 0.651 0.460
Ca 0.074 0.196 0.149
Sr 0.623 0.880 0.245

---

(4)
+++
== Back to the piece ==
if (error != nil) {
print ("Error in activating audio session")
} else {
if success {
print ("Audio session successfully activated")
Someone pasted materials data at this point.
# CsRbAuBr2

A relaxed structure of CsRbAuBr2 (GGA-PBE, the Alexandria database).

Cell: 6.492 6.492 6.012 Å, 90.00 90.00 90.00°
Sites, in units of the cell vectors:
Cs  0.000  0.000  0.000
Rb  0.500  0.500  0.500
Au  0.500  0.500  0.000
Br  0.000  0.500  0.500
Br  0.500  0.000  0.500

Calculated values
- Space-group type: No. 123
- Final energy: -2.3681 eV/atom

~~~~~

Record 1
# LaAl2Ni

LaAl2Ni at its PBEsol-relaxed geometry (meta-GGA SCAN, Alexandria via LeMat-Bulk).

Structure (extended XYZ):
```
16
Lattice="6.6483 0.0000 0.0000 0.0000 6.6483 0.0000 0.0000 0.0000 6.6483" Properties=species:S:1:pos:R:3 pbc="T T T"
La 0.0000 0.0000 0.0000
La 0.0000 3.3241 3.3241
La 3.3241 0.0000 3.3241
La 3.3241 3.3241 0.0000
Al 0.0000 0.0000 3.3241
Al 0.0000 3.3241 0.0000
Al 1.6621 1.6621 1.6621
Al 1.6621 4.9862 4.9862
Al 3.3241 0.0000 0.0000
Al 3.3241 3.3241 3.3241
Al 4.9862 1.6621 4.9862
Al 4.9862 4.9862 1.6621
Ni 1.6621 1.6621 4.9862
Ni 1.6621 4.9862 1.6621
Ni 4.9862 1.6621 1.6621
Ni 4.9862 4.9862 4.9862
```

Calculated values
final energy = -18.927 eV/atom
D(E_F) = 1.65 states/eV/f.u.
volume = 293.8 Å³/cell

---

Record 2
# Na2Mg2Te

Na2Mg2Te at its PBEsol-relaxed geometry (meta-GGA SCAN, Alexandria via LeMat-Bulk).

Structure (extended XYZ):
```
10
Lattice="7.6105 0.0000 0.0000 0.0000 7.6105 0.0000 0.0000 0.0000 5.1099" Properties=species:S:1:pos:R:3 pbc="T T T"
Na 1.2580 2.5473 0.0000
Na 2.5473 6.3525 0.0000
Na 5.0633 1.2580 0.0000
Na 6.3525 5.0633 0.0000
Mg 1.0184 4.8236 2.5550
Mg 2.7869 1.0184 2.5550
Mg 4.8236 6.5921 2.5550
Mg 6.5921 2.7869 2.5550
Te 0.0000 0.0000 2.5550
Te 3.8053 3.8053 2.5550
```

Calculated values
E_form (uncorrected) = -174.7 meV/atom
D(E_F) = 2.41 states/eV/f.u.
volume = 296.0 Å³/cell

---

Record 3
# Co2TeW

Co2TeW at its PBEsol-relaxed geometry (meta-GGA SCAN, Alexandria via LeMat-Bulk).

Structure (extended XYZ):
```
8
Lattice="5.2902 0.0000 0.0000 0.0000 7.2960 0.0000 0.0000 0.0000 2.9108" Properties=species:S:1:pos:R:3 pbc="T T T"
Co 1.3225 1.8240 0.0000
Co 1.3225 5.4720 0.0000
Co 3.9676 1.8240 0.0000
Co 3.9676 5.4720 0.0000
Te 0.0000 0.0000 1.4554
Te 2.6451 3.6480 1.4554
W 0.0000 3.6480 1.4554
W 2.6451 0.0000 1.4554
```

Calculated values
E_form (uncorrected) = 652.5 meV/atom
D(E_F) = 3.33 states/eV/f.u.
volume = 112.3 Å³/cell

---

Record 4
# Tc3BiW

Tc3BiW at its PBEsol-relaxed geometry (meta-GGA SCAN, Alexandria via LeMat-Bulk).

Structure (extended XYZ):
```
5
Lattice="4.6965 0.0000 0.0000 0.0000 4.6965 0.0000 0.0000 0.0000 4.6965" Properties=species:S:1:pos:R:3 pbc="T T T"
Tc 0.0000 0.0000 2.3482
Tc 0.0000 2.3482 0.0000
Tc 2.3482 0.0000 0.0000
Bi 2.3482 2.3482 2.3482
W 0.0000 0.0000 0.0000
```

Calculated values
final energy = -49.076 eV/atom
D(E_F) = 4.80 states/eV/f.u.
volume = 103.6 Å³/cell
} else {
print ("Audio session not activated")
Many thanks for the reply.
So with longFormAudio, it can't now mix with other system audio, for instance Siri? This seems like a backward step.
I will try and see if it mixes anyway :-)
Even with the options set to [] (which does not error), when I call
try AVAudioSession.sharedInstance().setActive(true)
It throws another error - Error Domain=NSOSStatusErrorDomain Code=561145203 "Session activation failed".
I had a related problem - same line of AVAudioSession_iOS but with an error of "res!" - resource not avaiable.
It was happening because I had already set the category on the shared instance of the AVAudioSession and called setActive(true) on it.
Before iOS16 (well, watchOS9 in my case) it worked fine. Code had not changed for 2 years.
Hope it helps.
Had the problem with Xcode 14.0 but it seems resolved with 14.1 RC 2.
I just tried again and got the same error - but then I clicked off the new version to the old version, then came back to the new version and it appears that it actually did submit for review. I also got a notification on my phone (and an email) that the app status had changed to "waiting for review".
This binary had issues yesterday, the screenshots disappeared and now this - I don't hold out much hope! 🤣🤣
I'm getting this too.
In the new version it failed to copy over the screenshots from the previous version so I had to re-upload all.
Probably a knock on effect from yesterday.
Same here. Unchecking "Upload your app's symbols to receive symbolicated reports from Apple" didn't solve the problem.
Apple have clearly changed something as I successfully submitted yesterday.
I'm having the same problem still. Anyone tried Xcode 12?
[Attached: materials data]
## Sm2Dy3Er9 (GGA-PBE)

Data for Sm2Dy3Er9 after structural relaxation.

The volume is 449.5 Å³/f.u. The formation energy comes out at 178 meV per atom.

It has space group P-1 (No. 2), with a = 5.351 Å, b = 8.264 Å, c = 10.589 Å, α = 97.61°, β = 100.72° and γ = 98.01°. The distinct sites, in fractional coordinates, are Sm at (0.022, 0.479, 0.240), Dy at (0.209, 0.094, 0.334), Dy at (0.500, 0.500, 0.000), Er at (0.022, 0.810, 0.065), Er at (0.174, 0.788, 0.512), Er at (0.391, 0.197, 0.702), Er at (0.413, 0.868, 0.862) and Er at (0.500, 0.500, 0.500).

~~~~~

1) An optimized crystal structure of Tb4AgRh2, computed with PBE.

Lattice parameters (Å, degrees): 4.9337 4.9337 6.9335 90.00 90.00 90.00
Atoms (fractional coordinates):
Ag (0.5000, 0.5000, 0.0000)
Tb (0.0000, 0.5000, 0.7454)
Tb (0.5000, 0.0000, 0.2546)
Rh (0.0000, 0.0000, 0.0000)
Rh (0.5000, 0.5000, 0.5000)
Tb (0.0000, 0.5000, 0.2546)
Tb (0.5000, 0.0000, 0.7454)

Crystal system = tetragonal
DOS(E_F) = 5.787 states/eV/cell



2) An optimized crystal structure of Tb4AgRh2, computed with PBE.

Lattice parameters (Å, degrees): 7.4444 7.4433 7.7744 108.91 108.92 108.82
Atoms (fractional coordinates):
Rh (0.4963, 0.3822, 0.6303)
Tb (0.3772, 0.5054, 0.2301)
Rh (0.6319, 0.2468, 0.1309)
Tb (0.4959, 0.7574, 0.8969)
Tb (0.7554, 0.1271, 0.7300)
Tb (0.3973, 0.0253, 0.2701)
Tb (0.8492, 0.6108, 0.6033)
Tb (0.0071, 0.2457, 0.3966)
Tb (0.2755, 0.1475, 0.7700)
Ag (0.9931, 0.9929, 0.0001)
Rh (0.1157, 0.5011, 0.8691)
Rh (0.7516, 0.8656, 0.3695)
Ag (0.2430, 0.7431, 0.5001)
Tb (0.8608, 0.5990, 0.1031)

Crystal system = orthorhombic
DOS(E_F) = 9.509 states/eV/cell



Most stable = 2)



1) An optimized crystal structure of TbTmAgRh, computed with PBE.

Lattice parameters (Å, degrees): 3.4878 3.4878 7.1683 90.00 90.00 90.00
Atoms (fractional coordinates):
Rh (0.5000, 0.5000, 0.5998)
Ag (0.5000, 0.5000, 0.1156)
Tb (0.0000, 0.0000, 0.8352)
Tm (0.0000, 0.0000, 0.3773)

Crystal system = tetragonal
DOS(E_F) = 4.650 states/eV/cell



2) An optimized crystal structure of TbTmAgRh, computed with PBE.

Lattice parameters (Å, degrees): 4.9658 4.9658 4.9658 60.00 60.00 60.00
Atoms (fractional coordinates):
Tb (0.0000, 0.0000, 0.0000)
Ag (0.2500, 0.2500, 0.2500)
Rh (0.7500, 0.7500, 0.7500)
Tm (0.5000, 0.5000, 0.5000)

Crystal system = cubic
DOS(E_F) = 3.620 states/eV/cell
[Back to the text]
Same here.
Or you wait for ages with this message then suddenly it springs to life before ultimately showing a dialog saying "Unable to Install ... WatchKit App".
Oh for a cable to the watch, or at least the option to prefer WiFi over Bluetooth when both available, but that's another story.